Major milestone for Canterbury Water Management Strategy

Environment Canterbury

Friday 26 August 2011, 6:47PM

By Environment Canterbury



The Hurunui-Waiau Zone Implementation Programme has been received and formally endorsed by both Hurunui District Council and Environment Canterbury.

Environment Canterbury Commissioners endorsed the zone implementation programme “as the basis for the design and realignment of work programmes, for drafting regional plan provisions, and for preparation of a draft Long Term Plan”.

Hurunui District Councillors endorsed the zone implementation programme “as the basis for consideration of relevant work programmes and implications for the long-term plan and Hurunui District Plan”.

“The Hurunui-Waiau ZIP represents a substantial contribution to water management in Canterbury,” said Environment Canterbury Commissioner David Caygill.

It is the first of 11 implementation programmes being prepared as part of the Canterbury Water Management Strategy.

The Hurunui-Waiau ZIP contains 66 recommendations to the two councils and other parties. It has been designed to provide an integrated approach to water management in the zone while achieving the desired social, environmental, cultural and economic outcomes.

It was developed collaboratively by the zone committee following extensive discussions and engagement with local community members, interest groups, stakeholder groups as well as the wider Canterbury community.

“The Canterbury Water Management Strategy envisioned community-led creative solutions to water management issues,” said David Caygill.

“I believe the zone committee, after more than a year of intensive effort, has achieved that and has produced a workable consensus on how to balance the competing needs for water in the Hurunui-Waiau zone.

“The ZIP addresses and allows for the first order priorities of the environment, customary use, community use and stock drinking water set out in the Canterbury Water Management Strategy.

Inserted here: materials data >
! PBE-GGA SrSbPd2, relaxed; values from VASP
&SYSTEM
  ibrav = 0, nat = 16, ntyp = 3
/
ATOMIC_SPECIES
Sr 87.62 Sr.upf
Sb 121.76 Sb.upf
Pd 106.42 Pd.upf
CELL_PARAMETERS angstrom
-2.7727 5.4108 -2.2405
-6.5042 -2.6855 1.5637
0.4120 3.1876 7.1882
ATOMIC_POSITIONS crystal
Sr 0.1576 0.2500 0.5189
Sr 0.6576 0.7500 0.9811
Sr 0.3424 0.2500 0.0189
Sr 0.8424 0.7500 0.4811
Sb 0.8392 0.2500 0.8677
Sb 0.6608 0.2500 0.3677
Sb 0.1608 0.7500 0.1323
Sb 0.3392 0.7500 0.6323
Pd 0.9236 0.0527 0.1694
Pd 0.5764 0.4473 0.6694
Pd 0.5764 0.0527 0.6694
Pd 0.4236 0.5527 0.3306
Pd 0.4236 0.9473 0.3306
Pd 0.9236 0.4473 0.1694
Pd 0.0764 0.5527 0.8306
Pd 0.0764 0.9473 0.8306
! total DFT energy (no corrections) = -4.83 eV/atom
! N(E_F) = 5.429 states/eV per cell
! space group = No. 62

! PBE-GGA SrNdHg, relaxed; values from VASP
&SYSTEM
  ibrav = 0, nat = 3, ntyp = 3
/
ATOMIC_SPECIES
Sr 87.62 Sr.upf
Nd 144.24 Nd.upf
Hg 200.59 Hg.upf
CELL_PARAMETERS angstrom
4.2635 0.0000 0.0000
0.0000 5.3698 0.0000
0.0000 -2.6849 4.6504
ATOMIC_POSITIONS crystal
Sr 0.6445 0.6667 0.3333
Nd 0.1260 0.0000 0.0000
Hg 0.2295 0.3333 0.6667
! total DFT energy (no corrections) = -2.41 eV/atom
! excess energy over the best structure of this formula in the dataset = 181 meV/atom
! formation energy from the elements = -0.16 eV per atom
! N(E_F) = 2.340 states/eV per cell
! space group = No. 156

~~~~~

# Li2SmY2In5 | Alexandria | PBE | optimized geometry
# Symmetry: P4/mbm (127)
# Total magnetization in μB per cell: 0.00
# ΔE_f in kcal/mol of atoms: -9.0
data_Li2SmY2In5
_chemical_formula_sum 'Li4 Sm2 Y4 In10'
_space_group_name_H-M_alt 'P 1'
_space_group_IT_number 1
_cell_length_a 4.398
_cell_length_b 10.430
_cell_length_c 10.430
_cell_angle_alpha 90.00
_cell_angle_beta 90.00
_cell_angle_gamma 90.00
loop_
_space_group_symop_operation_xyz
'x,y,z'
loop_
_atom_site_label
_atom_site_fract_x
_atom_site_fract_y
_atom_site_fract_z
Li1 0.000 0.120 0.620
Li2 0.000 0.880 0.380
Li3 0.000 0.620 0.880
Li4 0.000 0.380 0.120
Sm1 0.000 0.000 0.000
Sm2 0.000 0.500 0.500
Y1 0.000 0.674 0.174
Y2 0.000 0.326 0.826
Y3 0.000 0.174 0.326
Y4 0.000 0.826 0.674
In1 0.500 0.214 0.075
In2 0.500 0.786 0.925
In3 0.500 0.075 0.786
In4 0.500 0.714 0.425
In5 0.500 0.925 0.214
In6 0.500 0.286 0.575
In7 0.500 0.575 0.714
In8 0.500 0.425 0.286
In9 0.500 0.500 0.000
In10 0.500 0.000 0.500

~~~~~

Record 1
## Cs8I3BrO2 (GGA-PBE)

Data for a geometry-optimized Cs8I3BrO2 structure. Values from VASP.

* DFT total energy: -2.951 eV per atom

Quantum ESPRESSO input file:
```
&SYSTEM
  ibrav = 0, nat = 14, ntyp = 4
/
ATOMIC_SPECIES
I 126.90 I.upf
Cs 132.91 Cs.upf
Br 79.90 Br.upf
O 16.00 O.upf
ATOMIC_POSITIONS angstrom
I 0.000 5.155 6.823
I 4.464 2.578 4.425
I 0.000 0.000 0.000
Cs 6.549 1.374 7.901
Cs -2.085 6.359 3.347
Cs 0.000 5.155 10.770
Cs 4.464 2.578 0.478
Cs 2.380 1.374 7.901
Cs 2.085 6.359 3.347
Cs 4.464 4.985 7.901
Cs 0.000 2.748 3.347
Br 0.000 0.000 5.624
O 0.000 5.155 2.077
O 4.464 2.578 9.171
CELL_PARAMETERS angstrom
8.929 0.000 0.000

“It also adequately provides for the second-order priorities including irrigation, renewable electricity, as well as recreation and amenity use,” said David Caygill.

Winton Dally, Hurunui Mayor and a member of the zone committee, said arriving at the final ZIP took months of hard work and involved many challenges.

“Progressing the ZIP to this stage within almost impossible time frames has been a momentous achievement for the zone committee, and I am certain history will prove that they will have made a huge contribution towards securing sustainable land and water use for the benefit of future generations,” said Winton Dally.

David Eder, chair of the Hurunui-Waiau Zone Committee, said in May the committee facilitated five community meetings around the zone and one in Christchurch to update people on the draft ZIP and get feedback.

“As a result there were 125 written responses to the draft ZIP.”

Ninety per cent of respondents concentrated on three issues: land use and water quality; water storage; and minimum flows in the Hurunui and Waiau rivers.

“The committee considered all issues raised by people who provided feedback and reached a consensus on what should be included in the zone implementation programme,” said David Eder.

“Our vision is for a thriving natural environment, healthy waterways, and a prospering district both economically and socially. We believe the Hurunui-Waiau Zone Implementation Programme provides the platform for achieving this vision.

“The Hurunui-Waiau ZIP has the unanimous support of the committee members and the process we have gone through represents a blueprint for the rest of the region and for the country.”

“Going forward the committee recognises the need to work closely with land users to improve nutrient management in the zone.

“Improving nutrient management is a big challenge and will require farmers and others to change the way they operate,” said David Eder.

Environment Canterbury is working on a new Hurunui-Waiau Regional Plan to give effect to recommendations in the Hurunui-Waiau Zone Implemention Programe.

This plan is expected to be formally notified by the end of September, ahead of the lifting on October 1 of the moratoria on consents for the Hurunui and Waiau rivers.

The Hurunui-Waiau Zone Committee operates as a joint committee of Hurunui District Council and Environment Canterbury.

The Hurunui-Waiau Zone Implementation Programme

The key principles are:

  • An integrated approach to water quantity, quality and land use.
  • Collaborative community of interest management structures.
  • A regulatory framework to enable integrated solutions.
  • Major water storage to achieve integrated management.
  • Kaitiakitanga is woven through.

There are key recommendations on:

  • Ecosystem health, biodiversity and braided river characteristics
  • Drinking water
  • Kaitiakitanga
  • Waiau River flows
  • Hurunui River flows
  • Waipara River flows
  • Conway River / Tutae Putaputa flows
  • Water allocation and water-use efficiency
  • Water quality (including the need for nutrient load limits and community and land-user-led initiatives)
  • Economic development and the provision of more water
  • Recreation.

View a copy of the Hurunui-Waiau Zone Implementation Programme.